Section SDSĆ548Ć6LNĆ204
030Ć101328 Rev. A
Loopback (After Alignment)
Upon entering loopback after alignment, STC sends tones, one at a time, to INTELIPORT. Record level of each tone as it is
looped back by INTELIPORT.
Loopback is equipped with an automatic timeĆout feature that releases loopback 20 minutes after activation. INTELIPORT
returns to idle. If release is desired before the 20Ćminute time frame, send 2713 Hz (0.9 sec, min.). INTELIPORT returns
to command mode. Remove and reĆsend 2713 Hz tone (0.9 sec, min.) to return to idle.
Loopback (From Idle State)
Send 2713 Hz for ore than two sec. but less than 30 sec. Upon entering loopback, INTELIPORT returns a one second alterĆ
nating tone of 1014 Hz/414 Hz, identifying the unit accessed as Westell's SDS5486LN, Issue 3. NOTE: At this point, if 2713
Hz is removed in less than 30 seconds, INTELIPORT enters loopback. If 2713 Hz is applied for more than 30 seconds,
INTELIPORT enters command mode.
XMT OUT Level Adjust Mode
Upon completing alignment, the STC can adjust the XMT OUT level for any level from +7dBm to Ć16dBm (TLP), 0.5 dB
increments. STC can monitor the XMT OUT port to verify the change in the output level. While in command mode, send
1704 Hz to enter XMT OUT Level Adjust mode. Once activated,
To add Gain
Between two parts of the page: records of crystals:
Na2SnTeO6: relaxed, GGA-PBE.

Cell lengths 5.495, 5.564, 9.562 Å; angles 90.00, 125.08, 90.00 degrees
Fractional positions:
Na 0.241 0.040 0.250
Na 0.241 0.460 0.750
Na 0.759 0.540 0.250
Na 0.759 0.960 0.750
Sn 0.000 0.000 0.500
Sn 0.000 0.500 0.000
Te 0.500 0.000 0.000
Te 0.500 0.500 0.500
O 0.165 0.196 0.954
O 0.165 0.304 0.454
O 0.260 0.712 0.952
O 0.260 0.788 0.452
O 0.350 0.027 0.759
O 0.350 0.473 0.259
O 0.650 0.527 0.741
O 0.650 0.973 0.241
O 0.740 0.212 0.548
O 0.740 0.288 0.048
O 0.835 0.696 0.546
O 0.835 0.804 0.046

Calculated values
DFT formation energy: -1.864 eV per atom
symmetry: P2_1/c
energy with MP2020 corrections: -5.813 eV/atom

----------

[1]
{
  "formula": "EuPaO4",
  "functional": "meta-GGA r2SCAN",
  "state": "optimized geometry",
  "lattice": [[1.400, 1.292, 6.336], [-5.608, -0.102, 3.510], [2.585, -4.349, -4.264]],
  "species": ["Eu", "Eu", "O", "O", "O", "O", "O", "O", "O", "O", "Pa", "Pa"],
  "frac_coords": [[0.250, 0.750, 0.500], [0.500, 0.500, 0.000], [0.109, 0.125, 0.484], [0.641, 0.125, 0.016], [0.375, 0.359, 0.484], [0.109, 0.625, 0.984], [0.375, 0.891, 0.016], [0.641, 0.625, 0.516], [0.875, 0.891, 0.516], [0.875, 0.359, 0.984], [0.750, 0.250, 0.500], [0.000, 0.000, 0.000]],
  "formation_enthalpy_0k_ev_per_atom": -3.73,
  "mass_density_g_cm3": 9.34,
  "final_energy_ev_per_atom": -26.944
}

=====

[2]
{
  "formula": "Eu2Pb2O7",
  "functional": "meta-GGA r2SCAN",
  "state": "optimized geometry",
  "lattice": [[0.000, 5.407, 5.405], [5.407, 0.000, 5.405], [5.407, 5.407, 0.000]],
  "species": ["O", "O", "O", "O", "O", "O", "O", "O", "O", "O", "O", "O", "O", "O", "Eu", "Eu", "Eu", "Eu", "Pb", "Pb", "Pb", "Pb"],
  "frac_coords": [[0.781, 0.781, 0.219], [0.469, 0.031, 0.469], [0.469, 0.031, 0.031], [0.469, 0.469, 0.031], [0.219, 0.781, 0.781], [0.500, 0.500, 0.500], [0.781, 0.219, 0.781], [0.031, 0.031, 0.469], [0.781, 0.219, 0.219], [0.219, 0.781, 0.219], [0.219, 0.219, 0.781], [0.031, 0.469, 0.469], [0.750, 0.750, 0.750], [0.031, 0.469, 0.031], [0.125, 0.625, 0.625], [0.625, 0.125, 0.625], [0.625, 0.625, 0.125], [0.625, 0.625, 0.625], [0.125, 0.125, 0.625], [0.125, 0.125, 0.125], [0.125, 0.625, 0.125], [0.625, 0.125, 0.125]],
  "formation_enthalpy_0k_ev_per_atom": -2.01,
  "mass_density_g_cm3": 8.73,
  "final_energy_ev_per_atom": -23.043
}

=====

[3]
{
  "formula": "Eu4PdO7",
  "functional": "meta-GGA r2SCAN",
  "state": "optimized geometry",
  "lattice": [[6.518, 0.029, 2.126], [-0.021, 6.679, 2.488], [-0.013, -0.046, 7.853]],
  "species": ["O", "O", "O", "O", "O", "O", "O", "O", "O", "O", "O", "O", "O", "O", "Eu", "Eu", "Eu", "Eu", "Eu", "Eu", "Eu", "Eu", "Pd", "Pd"],
: send and remove 2222 Hz. INTELIPORT reĆadjusts output level by adding 0.5 dB of gains. If more gain is
required, repeat the process of sending and removing 2222 Hz until desired output level is obtained. INTELIPORT reĆ
adjusts the output level by 0.5 dB each time 2222 Hz is detected and removed.
To add Loss
: Send and remove 2111 Hz. INTELIPORT reĆadjusts output level by adding 0.5 dB of loss. If more loss is
required, repeat the process of sending and removing 2111 Hz until desired output level is obtained. INTELIPORT reĆ
adjusts the output level by 0.5 dB each time 2111 Hz is detected and removed.
To Set Level For Ć16 dBm
: send and remove 2333 Hz. INTELIPORT reĆadjusts output level to Ć16 dBm.
Upon completion, STC must send 2713 Hz (0.9 sec, min.) to return to command mode. A second 2713 Hz tone causes
INTELIPORT to return to idle.
: XMT OUT Level Adjust mode is equipped with a 5Ćminute automatic timeĆout feature that releases if no tone is sent
within 5 minute time frame. INTELIPORT returns to idle.
Transponder Mode (TLP/DLP)
From command mode, send 804Hz to access TLP Transponder or 1304 Hz, INTELIPORT applies quiet termination over
the XMT IN port and sets a 20Ćminute timer. During quiet termination, STC performs noise measurements at the RCV OUT
While in quiet termination, the STC initiates the transponder mode by sending any tone from 300 Hz to 3200 Hz (except
2700 Hz), in 100 Hz increments. INTELIPORT returns similar tone (TLP or DLP) at a 10 Hz offĆset for same duration tone is
Upon completion and if no other tone is sent, INTELIPORT reapplies quiet termination and resets the timer circuit. If no
tone is sent within the 20Ćminute time frame, INTELIPORT, after 20 minutes, drops out of the transponder mode and returns
to idle. If release is desired before the 20Ćminute time frame, send 2713 Hz for 0.9 seconds, minimum. INTELIPORT REĆ
TURNS TO COMMAND MODE. A second 2713 Hz tone causes INTELIPORT to return to idle.
Table 6. Testing and Alignment Procedures (Continued)